Aytug Tansu

Aytug Tansu

With so many sooty terns on an island that covers less than 1 sq km of land, it's easy to imagine that there would be little room for anything else.

But the island's portfolio of resident and migrant avifauna


The Sweden island mansion includes a domed party lounge that can accommodate 300 guests -- ideal for those post-pandemic celebrations.


People love the modern Mexican design of Villa Amalfi with its dark woods, crisp white linens, intricate tilework, and the indoor/outdoor layout that includes a pool right in the centre of the house. It’s also centrally located between Tulum beach – a long stretch of road that includes the ever-trendy destination’s beach clubs and restaurants – and the town centre.


Every 10 years, the horticultural world descends on the Netherlands for the Floriade Expo, a sprawling fair dedicated to gardens (and gardening) that this year centres around a theme of “growing green cities,” considering the future of urban green spaces, and how the city and nature can coexist. A small warning: upon visiting in late April two weeks after opening, much of the Floriade park was unfinished due to delays prompted by the pandemic. There were still plenty of highlights to enjoy – the Japanese pavilion exploring satoyama village forests, the “Green House” exploring greenhouse horticulture, and a good old cable car ride – but it may be worth managing your expectations this year all the same.


At the end of a very long road in Australia's far north, on a remote stretch of coastline along the isolated southern shore of the Gulf of Carpentaria, is Burketown (population 238). Caught between savannah and sea, beneath a big outback sky, the town is not on the road to anywhere: if you're in Burketown, you either took a wrong turn, or you really wanted to be here.


Resettling in Helsinki, Ratia worked as a copywriter for an ad agency, presaging her flair for publicity. "After the war, young men and women wanted to rebuild Finland," says Borrelli-Persson. "Armi was free-spirited, and rejected notions of class and traditional gender roles." On leaving the military, Viljo bought an oilcloth factory called Printex, which went bankrupt soon after. Armi joined the company in 1949 and two years later she and Viljo co-founded textiles firm Marimekko. It was launched with a fashion show at Helsinki's Kalastajatorppa Hotel. Meaning "Mary's dress" in Finnish, the name Marimekko had a universal ring to it.


Bypassing Saint-Tropez for Sainte-Maxime (its low-key but charming neighbour across the bay), the D559 continues past pétanque courts and waterfront restaurants towards the popular resort town of Saint-Raphaël. The 30km stretch between Saint-Raphaël and Mandelieu-La Napoule, where majestic red ochre rocks tumble into the sparkling Mediterranean Sea below, is one to savour: known as the Corniche d'Or, the road mimics the twists and turns of the craggy coastline before opening out onto the Bay of Cannes.


These rocky ranges behind Mandelieu-La Napoule, the coastal town west of Cannes in southern France, are home to Europe's largest mimosa forest. For six years, Polomeni has been one of the few registered guides leading small groups along walking trails that criss-cross this dry Mediterranean landscape. Along the way, she's become a point of reference for travellers like me who are following La Route du Mimosa, a 130km road trip that starts in Bormes-les-Mimosas, 35km west of Saint-Tropez, and finishes in the perfume-scented town of Grasse in the Cannes hinterland, an itinerary best travelled between January and March when the region breaks out in giant brushstrokes of rich yellow.


Over the next two months, researchers on the National Geographic and Rolex expedition she helped to organise would study the effects of climate change on this part of the Himalayas. Elmore, a geologist and at the time senior programme manager of the National Geographic Society in the US, supported the team installing the world's highest weather station on the flanks of Mount Everest. During the course of their expedition, her colleagues discovered the world's highest evidence of microplastic pollution in snow and stream water close to the summit.


In 2010, Unesco inscribed the gastronomic meal of the French onto its Representative List of the Intangible Cultural Heritage of Humanity, permanently enshrining the French meal under its protection. However, the designation isn't just about the food. It emphasises all the traditional elements that comprise a gastronomic meal in France, from the notion of conviviality – the idea of gathering together in a warm-hearted atmosphere – to the thoughtful selection of high-quality local produce. Other elements in the designation include table setting, food and wine pairings and a fixed meal structure.


Rural return
In addition to its environmental benefits, pine resin's proponents also believe it could offer a solution to Spain's rural exodus. According to a report by the Bank of Spain, 42% of the country's towns are affected by depopulation, as increasing numbers of young people leave the countryside to search for better job opportunities in the cities. This phenomenon is exacerbated in Castilla y León, where 80% of towns in 14 local provinces are considered "at risk of extinction".


Maskelyne thus elected to personally oversee the work that would eventually give Schiehallion something akin to celebrity status in the hiking world, as evidenced by the 20,000 hikers who visit each year. They each pass a commemorative cairn, celebrating the work of Maskelyne and his team, in the Braes of Foss carpark at the start of the hike.

Not long into my own ascent of Schiehallion, I saw my first fellow hiker trudging down a well-trodden path, looking somewhat dishevelled. Early autumn had rebranded the bracken-laced slopes in a burnt sienna, while above me there was only cloud and, presumably, the rest of the mountain. Already though, with no large mountains nearby, the view from the lower slopes exposed vast tracts of central Scotland.


Today, the Shimanami Kaido stops along busy fishing ports, valleys terraced with farming villages and lemon and mikan tangerine orchards – and even culinary gems like the sushi restaurant Akakichi, which the Michelin Guide highlights as one of the most remote stars in its constellation of restaurants.

The route is also a journey into Japan's little-known seafaring past. From the 9th Century to the end of the 16th Century, the Geiyo Islands were home to pirates (kaizoku). These were seafaring clans who, by virtue of their skill at navigating dangerous waters, dominated the sea lanes of the Seto Inland Sea – and terrorised the coasts of East Asia, raiding, trading and fighting battles.


Baily Head is now the largest penguin colony on the western side of the Antarctic Peninsula. It's a place where birds in dinner jackets belly-surf out of sub-zero waters and waddle up perilous slopes tinted green with algae. "It's just an awesome sight with so many birds as far as the eye can see," Hare enthused. "There are chinstrap penguins to the heavens, to where the landscape disappears into the sky."

This massive concentration lures other birds, too, including snowy sheathbills and brown skuas who prowl the penguin colony in search of unattended eggs. The cliff edges nearby also hide Cape and storm petrels, while the beach holds several types of pinnipeds, including doe-eyed Weddell seals and big-nosed elephant seals.

=====
Calculated X-ray powder pattern
Compound: Rb2Ni3BiF12
Radiation: Cu Kα (λ = 1.5418 Å)
Structure: a cell relaxed with GGA+U

Main lines, by intensity (15° ≤ 2θ ≤ 90°):
2θ (°)	I_rel
28.1	100
27.9	69
29.5	58
49.2	44
24.0	36
16.8	33

Crystal structure
```
Rb2Ni3BiF12
1.0
3.703 2.138 6.145
-3.703 2.138 6.145
0.000 -4.276 6.145
Rb Ni Bi F
2 3 1 12
direct
0.110 0.110 0.110
0.890 0.890 0.890
0.000 0.500 0.500
0.500 0.000 0.500
0.500 0.500 0.000
0.500 0.500 0.500
0.129 0.601 0.601
0.200 0.200 0.591
0.200 0.591 0.200
0.399 0.399 0.871
0.399 0.871 0.399
0.409 0.800 0.800
0.591 0.200 0.200
0.601 0.129 0.601
0.601 0.601 0.129
0.800 0.409 0.800
0.800 0.800 0.409
0.871 0.399 0.399
```

* * * * *

1.
# Pm3CoPb2
Simulated powder XRD pattern, Cu Kα (weighted mean of Kα1 and Kα2). Input: a crystal structure in Alexandria, relaxed with GGA-PBE.
Intensities are scaled so that the largest is 100.

The 10 most intense peaks (2θ = 10–90°), by angle:
| 2θ/deg | I (rel.) |
| --- | --- |
| 28.4 | 46 |
| 29.0 | 37 |
| 29.6 | 78 |
| 30.1 | 54 |
| 30.5 | 100 |
| 30.9 | 43 |
| 32.0 | 71 |
| 33.7 | 73 |
| 35.2 | 99 |
| 51.9 | 47 |

Cell and atoms:
Cell lengths 12.744, 6.356, 8.814 Å; angles 90.00, 108.61, 90.00 degrees
Space group C2/c (No. 15)
Inequivalent atoms, fractional coordinates:
Pm: 0.000 0.184 0.250
Pm: 0.158 0.377 0.636
Co: 0.000 0.369 0.750
Pb: 0.141 0.138 0.001

---

2.
# Rb2PaF8
Simulated powder XRD pattern, Cu Kα (weighted mean of Kα1 and Kα2). Input: a crystal structure in Alexandria, relaxed with GGA-PBE.
Intensities are scaled so that the largest is 100.

The 10 most intense peaks (2θ = 10–90°), by angle:
| 2θ/deg | I (rel.) |
| --- | --- |
| 11.7 | 37 |
| 15.7 | 54 |
| 22.9 | 100 |
| 25.8 | 67 |
| 27.7 | 56 |
| 29.3 | 21 |
| 40.7 | 75 |
| 43.3 | 20 |
| 44.5 | 37 |
| 49.5 | 26 |

Cell and atoms:
Cell lengths 16.318, 4.180, 6.103 Å; angles 90.00, 111.91, 90.00 degrees
Space group C2/m (No. 12)
Inequivalent atoms, fractional coordinates:
Rb: 0.173 0.000 0.173
Pa: 0.000 0.500 0.500
F: 0.000 0.000 0.305
F: 0.105 0.500 0.833
F: 0.106 0.500 0.380
F: 0.202 0.000 0.703

---

3.
# RbCd2Hg8
Simulated powder XRD pattern, Cu Kα (weighted mean of Kα1 and Kα2). Input: a crystal structure in Alexandria, relaxed with GGA-PBE.
Intensities are scaled so that the largest is 100.

The 10 most intense peaks (2θ = 10–90°), by angle:
| 2θ/deg | I (rel.) |
| --- | --- |
| 17.0 | 50 |
| 28.3 | 39 |
| 33.2 | 100 |
| 34.5 | 14 |
| 38.6 | 26 |
| 40.4 | 34 |
| 44.1 | 20 |
| 52.7 | 14 |
| 54.1 | 15 |
| 68.9 | 25 |

Cell and atoms:
Cell lengths 6.314, 6.314, 20.806 Å; angles 90.00, 90.00, 90.00 degrees
Space group I4/mmm (No. 139)
Inequivalent atoms, fractional coordinates:
Rb: 0.000 0.000 0.000
Cd: 0.000 0.500 0.250
Hg: 0.247 0.247 0.358

---

4.
# Tl7HgPb4
Simulated powder XRD pattern, Cu Kα (weighted mean of Kα1 and Kα2). Input: a crystal structure in Alexandria, relaxed with GGA-PBE.
Intensities are scaled so that the largest is 100.

The 10 most intense peaks (2θ = 10–90°), by angle:
=====


"I find it incredible. They are such rare, new [to science] or unknown species that we don't even know if they are threatened or not," says Álvarez Clare.

In the case of Mexico, the Red List estimates that 32 of the country's oak species are in danger of extinction. And among the most threatened is the arroyo oak.

A haven in Mexico

Part of the puzzle lies in the species' limited range, far from its evolutionary relatives. The most closely related species to the stream oak is Quercus fusiformis, which is found in Texas, Oklahoma and north-east Mexico, says botanist Allen Coombes, who curates scientific collections at the Botanic Garden of the University of Puebla in Mexico.


It takes just half an hour to get between Mahé and Bird Island by plane. But they are worlds apart. Mahé is quite densely populated with plenty of modern infrastructure. On Bird, there are no motorised vehicles and the airstrip must be checked for tortoises before planes receive permission to land.
